Brief =
Count the lines underneath that contain the word "Entry" and give the number alone.

File =
Entry 1:
C3H6INO | the ωB97M-V functional and the def2-TZVPD basis

Atoms and positions in Å:
1 I 3.099243 -0.253679 -0.035838
2 O 0.014085 -0.820592 0.065684
3 N -0.591326 1.394351 -0.410140
4 C 1.532805 1.061774 0.550776
5 C -1.217761 -1.372964 -0.279245
6 C 0.227193 0.549198 0.058500
7 H 1.629307 2.064562 0.104537
8 H -1.256111 -2.112410 -1.141802
9 H -2.005110 -0.564184 -0.252961
10 H -1.326318 -2.204357 0.482011
11 H 1.387828 1.189570 1.627046
12 H -1.493840 1.068735 -0.768563

Forces on the atoms, in the same order (eV/Å):
I 0.13 0.34 0.30
O 1.93 1.05 0.22
N 0.01 0.43 0.16
C -0.58 0.10 0.14
C -1.22 -1.84 0.93
C -2.21 -0.81 -1.94
H 0.30 -0.65 0.18
H 0.51 1.96 -0.10
H 0.44 -1.56 -0.12
H -0.67 1.40 -0.04
H 0.79 -0.29 0.03
H 0.58 -0.13 0.24

Output
maximum force	3.06	eV/A
ΔE to the lowest compared entry with this formula, charge and spin	19.8	kcal/mol
LUMO level	0.5	eV
SMILES	[H]/N=C(/CI)OC
2S+1	1
HOMO energy	-9.53	eV
E_tot	-545.55015	hartree
molar mass	198.991	g mol⁻¹

***

Entry 2:
C3H6IO3 | the ωB97M-V functional and the def2-TZVPD basis

Atoms and positions in Å:
1 I 13.468580 15.235010 10.446270
2 O 16.844490 18.604150 11.546610
3 O 17.591250 16.973700 12.863640
4 O 18.979020 18.477480 11.717880
5 C 20.184450 17.792310 12.154190
6 C 15.466220 18.374940 11.856060
7 C 17.779920 17.871860 12.056620
8 H 21.025720 18.483570 12.103860
9 H 15.320500 18.346140 12.935900
10 H 20.105430 17.466630 13.191390
11 H 14.919420 19.238560 11.477560
12 H 15.152630 17.469950 11.335720
13 H 20.375310 16.936400 11.506830

Forces on the atoms, in the same order (eV/Å):
I -0.04 -0.08 -0.02
O -0.79 1.37 -1.39
O 0.83 0.55 -1.37
O -0.48 -1.33 0.37
C -0.42 -0.04 0.14
C 0.26 -0.04 0.08
C 1.20 -0.09 2.42
H -0.35 0.18 -0.29
H 0.05 -0.39 -0.07
H -0.25 -0.08 -0.09
H 0.20 -0.12 -0.17
H -0.19 0.06 0.35
H -0.03 0.01 0.06

Output
maximum force	2.70	eV/A
ΔE to the lowest compared entry with this formula, charge and spin	0.0	kcal/mol
LUMO level (alpha / beta)	0.8 / -3.5	eV
⟨S²⟩	0.753
2S+1	2
HOMO energy (alpha / beta)	-10.43 / -10.10	eV
E_tot	-641.28968	hartree
molar mass	216.982	g mol⁻¹

***

Entry 3:
C3H6IO3V | the ωB97M-V functional and the def2-TZVPD basis

Atoms and positions in Å:
1 I -5.066400 -14.653500 9.890810
2 V -5.233910 -12.047030 8.698760
3 O -6.844440 -11.595350 12.749280
4 O -6.269860 -9.577710 12.035320
5 O -6.303180 -11.303190 10.560220
6 C -7.466490 -12.846730 12.541250
7 C -5.724000 -8.565310 11.158550
8 C -6.406400 -10.831640 11.718940
9 H -6.877870 -13.419550 11.824660
10 H -7.674960 -13.577240 13.322910
11 H -6.458900 -8.454910 10.361160
12 H -5.682590 -7.549420 11.551430
13 H -4.720070 -8.732120 10.768150
14 H -8.410210 -12.724980 12.009590

Forces on the atoms, in the same order (eV/Å):
I 0.09 1.66 -1.10
V -0.78 -1.50 2.52
O 1.00 2.54 0.09
O 0.79 0.06 1.27
O 0.97 0.41 -0.39
C -0.46 -1.73 -2.98
C -0.74 0.24 -1.51
C -1.45 -1.88 -0.27
H 0.24 0.03 0.06
H 0.61 1.26 1.10
H 0.28 -0.22 -0.40
H -0.27 -0.58 1.24
H -0.11 -0.74 0.17
H -0.19 0.45 0.20

Output
net charge	+1
maximum force	3.48	eV/A
ΔE to the lowest compared entry with this formula, charge and spin	27.4	kcal/mol
LUMO level (alpha / beta)	-6.1 / -5.9	eV
⟨S²⟩	3.784
2S+1	4
HOMO energy (alpha / beta)	-12.57 / -12.66	eV
E_tot	-1585.00685	hartree
molar mass	267.926	g mol⁻¹

***

Entry 4:
C3H6LiO5Tl | the ωB97M-V functional and the def2-TZVPD basis

Atoms and positions in Å:
1 Tl 1.447311 1.713622 -3.296156
2 O 0.530326 -0.217391 -2.989150
3 O 0.649478 -0.802987 2.587080
4 O 0.609864 1.382859 2.031825
5 O -0.610682 -1.038956 0.373944
6 O -1.153796 0.432375 3.047591
7 C -0.247878 -0.891335 -2.080289
8 C -0.074010 -0.300230 -0.685335
9 C 0.013903 0.303856 2.335290
10 Li 1.235919 2.201354 0.550690
11 H -1.743443 0.998648 2.538912
12 H 0.000096 -1.974855 -2.002670
13 H -0.546934 0.707413 -0.709952
14 H 0.203792 -1.502004 1.145661
15 H 1.019627 -0.178859 -0.521615
16 H -1.333572 -0.833512 -2.325825

Forces on the atoms, in the same order (eV/Å):
Tl 0.18 0.45 0.29
O -0.11 -0.38 -0.46

Worked solution =
4